To determine potential changes in the frequency and intensity of future storm events due to climate change in New York City (NYC), a statistical downscaling technique is proposed. First, a historical benchmark was determined using weather station data from the John F. Kennedy (JFK) and La Guardia (LGA) airports for the period 1973–2017. This historical information was used to perform the bias-correction exercise of near-future (2011–2050) global circulation model (GCM) output (ORNL RegCM4; RCP 8.5). Results show that NYC is projected to experience higher wind gusts under a warming climate for the period 2017–2050 in comparison with the historical data period, with the most extreme event projected to produce a maximum wind gust of approximately 110 mph, a significant increase over the past maximum of 80 mph. The historical 700-year return period event was estimated at 115 mph, while the overall 700-year event (historical and projected) is estimated at 124 mph. The most extreme cases of maximum daily wind gusts are projected to occur during the winter and early spring seasons. No increase in the number of projected tropical storms was observed, but the intensity of the storms is projected to be higher than during the historical period. These changes in extreme wind events could have serious implications for NYC in terms of urban planning, potential power outages, transportation disruptions, impacts on building structures, and public safety.
1 Introduction
It is widely expected that climate change, in general terms, will produce more intense hurricanes as a warmer ocean provides more energy for tropical storms to intensify and grow [1–4]. On the other hand, winter storms are not expected to diminish in intensity in a warming climate [5]. In the particular case of New York City (NYC), high-wind gusts are typically produced by a variety of windstorms, which can occur in different forms: straightline storms that blow in one direction (e.g., squall lines), thunderstorms, microbursts, tornadoes, and high-wind events often associated with other storms, such as hurricanes or Nor’easters. They vary in intensity, duration, and geographical extent. They typically have a few hours of lead time and can last for hours, or for up to several days if they result from a large-scale weather system [6]. Here, we focus on the potential changes in frequency and intensity of future storm events due to climate change in the near future, with special interest in tropical events and winter storms. These changes in extreme wind events could have serious implications for NYC in terms of urban planning; potentially needing to update building structural, electrical, and mechanical codes, power outages, transportation disruptions, and public safety. This work is specifically in part motivated by local New York City laws that relate to wind loads impacts on structures.
In the following sections we examine whether the future tropical storm frequency and intensity predicted for the Atlantic Hurricane season will impact in a significant way the city of New York. We also attempt to answer the similar question of impacts of a changing climate on winter storms, with the understanding that these two types of storms are driven by different mechanisms. Section 2 presents the general methodology used in this study to analyze the potential effects of future climate change on the frequency and intensity of extreme wind gust events in NYC. Section 3 presents the results and major findings of the study, with emphasis on separating the data into tropical/non-tropical events. Section 4 summarizes the results and main conclusions, and presents recommendations for future research.
2 Methodology and Data
Previous studies on the analysis of wind gusts for building codes in the continental United States of America have relied mostly on historical wind data and on some variation of the Monte Carlo technique, especially for the generation of the necessary statistics in regards to tropical storms (e.g., Refs. [7–9], among others). Since there is no existing data to perform similar studies on future wind gusts for NYC, here we present a downscaling methodology of global circulation model (GCM) output as an alternative to obtain the necessary data to generate wind distributions for selected climate change scenarios for NYC. Statistical downscaling, or bias-correction, has been used to analyze GCM output locally when high-resolution data is needed [10–12]. This study begins with a comprehensive review and analysis of wind gust data with the objective of establishing the historical wind statistics and a benchmark of wind gusts for the city. This was performed using long-term records from ground weather stations located at John F. Kennedy (JFK) and La Guardia (LGA) airports, as archived by the National Oceanic and Atmospheric Administration’s National Climatic Data Center (NOAA-NCDC). The reason for choosing the stations located at the two airports is twofold, not only they provide the most complete and longest historical record (determined after conducting a comprehensive quality control of the data for all stations in the area of interest), but these type of locations are typically used when conducting wind gust studies for structural engineering applications.
In this study, the historical period spans the years 1973–2017, while the GCM output was obtained for the period 2011–2050, which means that the reference period consist of the overlapping years of 2011–2017. Figure 1 shows the complete statistical downscaling flowchart used in the study. Table 1 summarizes the different data sources used for the observations and projected future climate.
Inventory of data sources used in the study presented in this document
Historical observations | Stn. ID | Source | Lat | Lon | Timeframe | |
JFK | NCDC | 40.639 | 73.762 | 1973–2017 | ||
La Guardia | NCDC | 40.779 | 73.880 | 1973–2017 | ||
Ensemble | Source | Models used | Time frequency | Horizontal resolution | RCP | |
Modeling projections | CMIP/CCSM4 | NCAR | Varies | 3 hr; 6 hr | ∼1 deg | 2.6/4.5/6.0/8.5 |
RegCM4a | ORNL | 11 | 6 hr | 18 km | 8.5 |
Historical observations | Stn. ID | Source | Lat | Lon | Timeframe | |
JFK | NCDC | 40.639 | 73.762 | 1973–2017 | ||
La Guardia | NCDC | 40.779 | 73.880 | 1973–2017 | ||
Ensemble | Source | Models used | Time frequency | Horizontal resolution | RCP | |
Modeling projections | CMIP/CCSM4 | NCAR | Varies | 3 hr; 6 hr | ∼1 deg | 2.6/4.5/6.0/8.5 |
RegCM4a | ORNL | 11 | 6 hr | 18 km | 8.5 |
For the specific GCMs included in the dynamical downscaling performed with RegCM4, please see Ref. [13].
3 Results
Daily maximum 3-second wind gust data at 10 m above ground level from 1973 to 2017 recorded at the JFK and LGA weather stations were analyzed to determine their probability distribution and seasonal trends (Fig. 2). The occurrence histogram plot for the data shows a classic Weibull distribution, while the monthly average shows that the highest wind gusts occurred during the late hurricane season and winter, with some overlap during early spring. From these data, it is determined that the maximum-recorded wind gusts occurred during super storm Sandy at approximately 80 mph on October 29-30, 2012. The procedure continued by separating the historical Tropical and Non-Tropical events, and return periods for the three datasets (all data; tropical; non-tropical) were calculated following the Gringorten plotting position formula. A calculation of a 700-year event yielded a value of 115 mph for the locations analyzed.

Wind statistics for the ground weather stations located at JFK and La Guardia for the period 1973–2017. (a,b) Frequency occurrence plots of daily maximum wind gusts. (c,d) Monthly average of daily maximum wind gusts.
The statistical downscaling of GCM data was performed using the ORNL RegCM4 6-hourly output for Representative Concentration Pathway 8.5 (RCP 8.5) spanning the period 2011–2050, using the historical 2011–2017 period as reference. The RegCM4 data used here consists of an 11-model ensemble from various sources and horizontal/temporal resolutions, dynamically downscaled to 18 km horizontal resolution and archived four-times daily. The RCPs are family scenarios proposed by the Inter Governmental Panel of Climate Change to represent future climate conditions as possible green house gases (GHG) concentrations, and corresponding global radiation feedback. The RCP 8.5 represents a high-end GHG radiation feedback. Despite the relatively low temporal resolution, and due to the increased horizontal resolution of the modeling system, the RegCM4 bias-corrected output captured the maximum winds observed by the historical data during the reference period (Fig. 3), which validates the downscaling technique used. Results show increased extreme events on the right tail of the distribution when comparing the historical and projected future datasets (Fig. 4). The bias-corrected CCSM4 future projected wind gusts presented a maximum value of 110 ± 28 mph, an event that appeared at both locations in the early spring toward the middle of the projected timeframe. Other extreme events occurred during the late hurricane season and winter, with a considerable dip during the summer months (Fig. 5). It is worth noting that the CCSM4 is a middle road global model in terms of temperature and precipitation [13].

• Next to the page, the page also holds data records:
(a)
The following is a GGA-PBE calculation of a geometry-optimized LiMg14Mo structure, from Materials Project.

abc: 6.292 6.376 9.949
angles: 90.00 90.00 120.44
Fractional positions:
1 Li 0.170 0.335 0.125
2 Mg 0.170 0.335 0.625
3 Mg 0.168 0.834 0.625
4 Mg 0.667 0.336 0.125
5 Mg 0.666 0.334 0.625
6 Mg 0.667 0.831 0.125
7 Mg 0.666 0.832 0.625
8 Mg 0.324 0.155 0.363
9 Mg 0.324 0.155 0.887
10 Mg 0.324 0.669 0.363
11 Mg 0.324 0.669 0.887
12 Mg 0.835 0.167 0.373
13 Mg 0.835 0.167 0.877
14 Mg 0.845 0.673 0.366
15 Mg 0.845 0.673 0.884
16 Mo 0.171 0.835 0.125

total magnetization: 0.19 μB/f.u.
symmetry: Amm2 (38)

---

(b)
The following is a GGA-PBE calculation of a geometry-optimized LiMg14Mo structure, from Materials Project.

abc: 6.320 6.320 9.905
angles: 90.00 90.00 120.00
Fractional positions:
1 Li 0.167 0.333 0.125
2 Mg 0.168 0.834 0.125
3 Mg 0.168 0.834 0.625
4 Mg 0.666 0.332 0.125
5 Mg 0.666 0.332 0.625
6 Mg 0.666 0.834 0.125
7 Mg 0.666 0.834 0.625
8 Mg 0.328 0.172 0.381
9 Mg 0.328 0.172 0.869
10 Mg 0.328 0.655 0.381
11 Mg 0.328 0.655 0.869
12 Mg 0.845 0.172 0.381
13 Mg 0.845 0.172 0.869
14 Mg 0.833 0.667 0.375
15 Mg 0.833 0.667 0.875
16 Mo 0.167 0.333 0.625

total magnetization: 0.35 μB/f.u.
symmetry: P-6m2 (187)

---

Energy comparison, zero being the most stable, in meV per atom: (a) 10; (b) 0.

---

(a)
The following is a GGA-PBE calculation of a geometry-optimized NaLiMg14O15 structure, from Materials Project.

abc: 8.492 8.667 4.268
angles: 90.00 90.00 90.00
Fractional positions:
1 Na 0.505 0.500 0.000
2 Li 0.996 0.000 0.000
3 Mg 0.983 0.500 0.000
4 Mg 0.504 0.000 0.000
5 Mg 0.001 0.244 0.500
6 Mg 0.001 0.756 0.500
7 Mg 0.499 0.250 0.500
8 Mg 0.499 0.750 0.500
9 Mg 0.245 0.000 0.500
10 Mg 0.252 0.500 0.500
11 Mg 0.756 0.000 0.500
12 Mg 0.742 0.500 0.500
13 Mg 0.249 0.223 0.000
14 Mg 0.249 0.777 0.000
15 Mg 0.749 0.247 0.000
16 Mg 0.749 0.753 0.000
17 O 0.253 0.000 0.000
18 O 0.748 0.000 0.000
19 O 0.757 0.500 0.000
20 O 0.250 0.259 0.500
21 O 0.250 0.741 0.500
22 O 0.751 0.253 0.500
23 O 0.751 0.747 0.500
24 O 0.003 0.000 0.500
25 O 0.014 0.500 0.500
26 O 0.497 0.000 0.500
27 O 0.485 0.500 0.500
28 O 0.013 0.268 0.000
29 O 0.013 0.732 0.000
30 O 0.493 0.240 0.000
31 O 0.493 0.760 0.000

total magnetization: 0.00 μB/f.u.
symmetry: Pmm2 (25)

---

(b)
The following is a GGA-PBE calculation of a geometry-optimized NaLiMg14O15 structure, from Materials Project.

abc: 8.547 8.631 4.270
angles: 90.00 90.00 90.00
Fractional positions:
1 Na 0.995 0.500 0.000
2 Li 0.995 0.000 0.000
3 Mg 0.503 0.000 0.000
4 Mg 0.518 0.500 0.000
5 Mg 0.001 0.244 0.500
6 Mg 0.001 0.756 0.500
7 Mg 0.499 0.250 0.500
8 Mg 0.499 0.750 0.500
9 Mg 0.243 0.000 0.500
10 Mg 0.244 0.500 0.500
11 Mg 0.759 0.000 0.500
12 Mg 0.764 0.500 0.500
13 Mg 0.241 0.223 0.000
14 Mg 0.241 0.777 0.000
15 Mg 0.762 0.246 0.000
16 Mg 0.762 0.754 0.000
17 O 0.264 0.000 0.000
18 O 0.739 0.000 0.000
19 O 0.742 0.500 0.000
20 O 0.250 0.259 0.500
21 O 0.250 0.741 0.500
22 O 0.748 0.253 0.500

PDF comparison of historical and projected future daily maximum wind gusts during the reference period of 2011–2017 for the (a) John F. Kennedy and (b) La Guardia locations

/*
The following is a r²SCAN calculation of a relaxed structure of TmZr, from Materials Project. Values from VASP.

Formation energy from the elements in eV/atom: 0.0608

Quantum ESPRESSO input file:
```
&SYSTEM
  ibrav = 0, nat = 2, ntyp = 2
/
ATOMIC_SPECIES
Tm 168.93 Tm.upf
Zr 91.22 Zr.upf
ATOMIC_POSITIONS crystal
Tm 0.000 0.000 0.000
Zr 0.667 0.333 0.500
CELL_PARAMETERS angstrom
3.391 0.000 0.000
-1.696 2.937 0.000
0.000 0.000 5.284
```

~~~~~

Entry 1:
Li2Co3SnO8 | the Materials Project | PBE with a Hubbard U | relaxed; total energy = -5.84 eV per atom; energy relative to the lowest polymorph listed for this composition = 0.000 eV per atom; formation energy = -1.6760 eV per atom
1.0
-7.3365 1.3002 3.6086
-0.4378 -8.0215 2.0001
3.8107 1.5817 7.1773
O Co Sn Li
32 12 4 8
Direct
0.1278 0.6108 0.4028
0.0972 0.8722 0.1108
0.6528 0.3608 0.6222
0.5972 0.6278 0.8892
0.9028 0.3722 0.3892
0.1392 0.3778 0.1528
0.8778 0.3472 0.8608
0.3661 0.3661 0.3661
0.3778 0.1528 0.1392
0.4028 0.1278 0.6108
0.6339 0.8661 0.1339
0.8722 0.1108 0.0972
0.8472 0.6392 0.1222
0.3839 0.6161 0.1161
0.1339 0.6339 0.8661
0.3472 0.8608 0.8778
0.8608 0.8778 0.3472
0.6222 0.6528 0.3608
0.6278 0.8892 0.5972
0.3608 0.6222 0.6528
0.1108 0.0972 0.8722
0.6161 0.1161 0.3839
0.6108 0.4028 0.1278
0.3892 0.9028 0.3722
0.3722 0.3892 0.9028
0.8839 0.8839 0.8839
0.8892 0.5972 0.6278
0.1528 0.1392 0.3778
0.1222 0.8472 0.6392
0.1161 0.3839 0.6161
0.6392 0.1222 0.8472
0.8661 0.1339 0.6339
0.8750 0.1148 0.8648
0.6250 0.8852 0.3648
0.6352 0.1250 0.6148
0.1352 0.3750 0.3852
0.1148 0.8648 0.8750
0.3852 0.1352 0.3750
0.1250 0.6148 0.6352
0.3750 0.3852 0.1352
0.3648 0.6250 0.8852
0.8648 0.8750 0.1148
0.8852 0.3648 0.6250
0.6148 0.6352 0.1250
0.3750 0.8750 0.6250
0.6250 0.3750 0.8750
0.1250 0.1250 0.1250
0.8750 0.6250 0.3750
0.7503 0.2503 0.2497
0.0003 0.9997 0.4997
0.4997 0.0003 0.9997
0.9997 0.4997 0.0003
0.5003 0.5003 0.5003
0.2503 0.2497 0.7503
0.7497 0.7497 0.7497
0.2497 0.7503 0.2503

---

Entry 2:
Li2Co3SnO8 | the Materials Project | PBE with a Hubbard U | relaxed; total energy = -5.84 eV per atom; energy relative to the lowest polymorph listed for this composition = 0.004 eV per atom; formation energy = -1.6720 eV per atom
1.0
2.8966 -5.0171 0.0000
2.8966 5.0171 0.0000
0.0000 0.0000 9.5196
O Co Li Sn
16 6 4 2
Direct
0.5161 0.4839 0.8301
0.0321 0.5161 0.3301
0.8424 0.1576 0.1060
0.0000 0.0000 0.8072
0.1576 0.3152 0.6060
0.1576 0.8424 0.6060
0.5161 0.0321 0.8301
0.3152 0.1576 0.1060
0.3333 0.6667 0.1133
0.6848 0.8424 0.6060
0.6667 0.3333 0.6133
0.0000 0.0000 0.3072
0.8424 0.6848 0.1060
0.9679 0.4839 0.8301
0.4839 0.5161 0.3301
0.4839 0.9679 0.3301
0.1698 0.8302 0.2149
0.8302 0.1698 0.7149
0.1698 0.3396 0.2149
0.6604 0.8302 0.2149
0.3396 0.1698 0.7149
0.8302 0.6604 0.7149
0.6667 0.3333 0.3897
0.3333 0.6667 0.8897
0.0000 0.0000 0.4968
0.0000 0.0000 0.9968
0.3333 0.6667 0.4932
0.6667 0.3333 0.9932

---

Entry 3:
*/
# The text goes on

PDF comparison of historical (1973–2017) and projected future (2011–2050) daily maximum wind gusts for the (a) John F. Kennedy and (b) La Guardia locations

Monthly averaged daily maximum wind gusts (a,c) and maximum wind gust for each month (b,d) for the projected future winds (2011–2050) at (a,b) JFK and (c,d) La Guardia
In order to separate the future data into tropical and non-tropical, the timing of the occurrence of the events was used, as there is no other information regarding the nature of these events. Events occurring during the hurricane season with a value of or above 38 mph were allocated in the Tropical dataset, events above the same threshold occurring during winter and spring were considered Extra-tropical or Non-tropical. Return periods for the projected future wind gusts were calculated using the same Gringorten plotting position formula as the historical data. The return period comparison between the historical and projected data for the tropical and non-tropical events clearly shows that higher wind gust magnitudes should be expected in the future (Fig. 6). It should be noted that these events are also expected to occur less frequent, as evidenced by the slightly shorter return periods. Return periods for the complete period of study, spanning the years 1973–2050, were obtained and a calculation of a 700-year event yielded a value of 124 mph (Fig. 7). Uncertainties for this study (±28 mph) were estimated by applying the bias-correction procedure to all 11 models downscaled at ORNL and calculating the mean, standard deviation, and spread for each maximum daily wind gust data point. Due to the different types of data used and techniques included in the downscaling exercise, other uncertainties are difficult to estimate for extreme winds.

Comparison of the return periods for the historical and projected data calculated for the (a) tropical and (b) non-tropical events

Return periods calculated for maximum daily wind gust data for the historical and projected bias-corrected GCM output periods (1973–2050) at JFK and La Guardia
4 Conclusions and Recommendations
After performing a historical analysis of wind gusts for NYC, and future projections using bias-corrected (statistically downscaled) GCM output for the same variable, the following conclusions are drawn:
New York City is projected to experience higher wind gusts under a warming climate for the period 2017–2050 in comparison with the historical data period of 1973–2017. The future maximum wind gusts are expected to reach 110 mph, a significant increase from the recent maximum wind of 80 mph.
The historical benchmark (1973–2017) estimated 700-year return period is 115 mph, while the future is estimated as 124 mph. This result agrees quite well with the recent analysis by Kossin et al. [15] which projects an 8% per decade of years of wind speed increase in the north Atlantic. This means that since 1979 when their data analysis started till now, 40 years after, we should expect 32% increase which is very close to what has been predicted in this work.
The most extreme cases of maximum daily wind gusts are projected to occur during the winter seasons.
There is no significant increase in the number of projected tropical storms for the area of study with maximum wind gusts >38 mph; however, the intensity of the storms is expected to be higher than during the historical period.
Previous studies of wind gust data resulting from tropical storms for building codes in the United States have relied on some variation of Monte Carlo simulations to account for the relatively low number of events needed to perform the statistical tests. In the study presented here such methodology was not followed because there is no information regarding the nature of the events for the projected future climate. Therefore, it is recommended that in order to determine the characteristics of each storm, further analysis is needed, and a high-resolution dynamical downscaling simulation of several specific events be performed. This would not only inform a potential Monte Carlo simulation but will also provide the horizontal distribution of winds across the city for these events. This will be helpful in determining how the city affects each event and explaining why JFK is projected to experience much higher winds and higher frequency of events, at both tails of the distribution, than La Guardia. Past modeling efforts of specific historical events have provided information about high-wind hot spots in the city that might not be at or near the airports, which are the locations analyzed in the study presented here.
This study was sponsored and financially supported by the New York City Department of Buildings (NYC DoB).
Conflict of Interest
There are no conflicts of interest.
Data Availability Statement
The authors attest that all data for this study are included in the paper. Data provided by a third party listed in Acknowledgment.